What does the sea represent spiritually in Scripture? See Psa 65:7, Isa 57:20, Rev 17:1,15. What would be the normal plight of an ordinary man attempting to walk upon the waters of the sea, and what does this teach us about the normal plight of ordinary men in the world? Observe the description of the disciples’ experience in the sea: their boat was “battered” by the waves (Mat 14:24) and they were “straining” at the oars (Mar 6:48); the Greek word used in both of these instances means literally “tormented”. How is this a fitting description of mankind’s plight in this fallen world? How is it a fitting description of his ultimate end when he is finally overcome by the waters of the world and drowns in them? See Mat 8:6 and 29 for the other occurrences of this word in Matthew, as well as Luk 16:23-24,28 and Rev 14:10,19:10. What spiritual truths does this miracle teach us about Jesus’ nature that allowed Him to walk above the waters of this world and His ultimate power and authority over the nations? Why is this miracle especially significant in light of the temptation He had just overcome from the multitude that wanted to make Him king?
These data records were left in the entry by mistake:
........
VASP calculation (PBE) on a relaxed La3PuRh3 crystal.

DOS at the Fermi energy, states/eV/f.u.: 15.9
Symmetry: Pnma, No. 62
ΔE to the lowest computed polymorph, eV/atom: 0.000
E_form, eV per atom: -0.56

Structure (CIF):
```
data_La3PuRh3
_chemical_formula_sum 'La12 Pu4 Rh12'
_symmetry_space_group_name_H-M 'P 1'
_symmetry_Int_Tables_number 1
_cell_length_a 4.152
_cell_length_b 12.280
_cell_length_c 14.170
_cell_angle_alpha 90.00
_cell_angle_beta 90.00
_cell_angle_gamma 90.00
loop_
_symmetry_equiv_pos_as_xyz
'x,y,z'
loop_
_atom_site_label
_atom_site_type_symbol
_atom_site_fract_x
_atom_site_fract_y
_atom_site_fract_z
La1 La 0.750 0.750 0.805
La2 La 0.250 0.750 0.305
La3 La 0.250 0.250 0.195
La4 La 0.750 0.250 0.695
La5 La 0.750 0.183 0.976
La6 La 0.250 0.317 0.476
La7 La 0.250 0.817 0.024
La8 La 0.750 0.683 0.524
La9 La 0.750 0.949 0.601
La10 La 0.250 0.551 0.101
La11 La 0.250 0.051 0.399
La12 La 0.750 0.449 0.899
Pu1 Pu 0.750 0.981 0.187
Pu2 Pu 0.250 0.519 0.687
Pu3 Pu 0.250 0.019 0.813
Pu4 Pu 0.750 0.481 0.313
Rh1 Rh 0.750 0.953 0.931
Rh2 Rh 0.250 0.547 0.431
Rh3 Rh 0.250 0.047 0.069
Rh4 Rh 0.750 0.453 0.569
........
The entry goes on:
What was the disciples’ reaction when they saw Jesus walking on the sea? See Mat 14:26, Mar 6:49-50a. What did they initially think that they were seeing? How does their initial perception authenticate the veracity of this miracle? With what words did Jesus comfort the disciples not to be afraid? See Mat 14:27, and observe that “It is I” is in Greek “ego eimi”, literally “I AM”; cf. Joh 8:24,58. In this light, what is the significance of Mark’s remark in Mar 6:48 that when He came to them walking on the sea “He intended to pass by them”? See Ex 33:19,22, and 34:6 where the same Greek word is used in the LXX, and also Mar 6:52, Matt 14:33. What “insight” does Mark refer to there that they had not gained from the incident of the loaves? See Joh 6:32-35. Recall in the Exodus passage that Moses had asked to see God’s glory (Exo 33:18); what does this incident of Jesus manifesting His glory to His disciples by walking above the waters of this world teach us about the nature of glory and the manner in which one is able to become a “partaker…of the glory that is to be revealed” (1Pe 5:1) when Christ is revealed (see Col 3:3-4)?
What was Peter’s response when Jesus encouraged them not to fear and identified Himself saying “evgw, eivmi”? See Mat 14:28. What was so amazing and completely unnatural about his response? Think: would that have been our response? What might Peter’s response indicate about the understanding he was coming to about who Jesus actually was? Observe that the Greek reads literally, “Lord, if YOU ARE, command me…”; cf. also his great confession in Mat 16:16 shortly after this in Caesarea Philippi. In what way is all the Law of God given to sinful man like a command to walk on water? Think: is it any more possible for a natural man to keep the law of God than it is for him to walk on water? See Psa 51:5, Ecc 7:20, Isa 64:6, Rom 3:23, 8:7, 1Jo 1:8. In this light, what is the spiritual significance of Peter’s response, and what does it indicate about the great faith and heart’s desire that he had for God? While it is impossible for a natural man to walk on water, is it impossible for a spiritual man who has been commanded by God to do so? See Mat 14:29. While it is impossible for a natural man to observe God’s righteous and holy law, is it impossible for a spiritual man who has been commanded by God to do so? See Rom 8:4. What insight does this give us into Moses’ words in Deut 30:11-14 after he had reiterated the requirements of the law? In what way should Peter’s response as he was coming to understand who Jesus was also be our response? After calling out to Jesus as Peter did saying, “Lord, if it is You—if YOU ARE—command me to come to you on the water”, and He commands us to come, what do we need to do? See again Mat 14:29.
What happened once Peter got out on the water? See Mat 14:30. Why did he become afraid and begin to sink? How is that like us as we seek to keep our eyes focused on Jesus and obey His command to walk above the waters of the world in holiness and righteousness? What do the wind and the waves that frightened Peter represent in a spiritual sense? See Eph 4:14, Jam 1:6, Jud 1:12-13. In what way are such winds contrary today so that we too are battered as we seek to stay afloat and keep from drowning in the sea of the world (Mat 14:24)? What did Peter do when He began to sink, and how is that an example for us to follow? What did Jesus do when Peter called out to Him, and how is that an example of what He will do for us? See Mat 14:31. With what words did Jesus chastise Peter? In light of Peter actually getting out of the boat to walk on the water towards Jesus, would we say his faith was small, or great? What does this teach us about how small even our notion of a great faith actually is? Cf. Mat 17:20. What insight does this give us into the much deeper meaning of Paul’s familiar words in Rom 10:5-13 where he quotes the passage from Deut 30:11-14? Think: in what way is Peter’s example in Mat 14:28-31 illustrative of the true saving faith of which Paul concludes that “whoever will call upon the name of the Lord will be saved” (Rom 10:13)? Is this the way most Christians today understand this familiar verse?